Babe Ruth home run ball turns up with 104-year-old Minnesotan

# Calculated crystals, as found in the file
~~~
The following is a simulated powder diffractogram of Tm6GaRu2. It was derived from a structure optimized by DFT (GGA-PBE), using Cu Kα.

Atomic structure:
a = 8.288 Å, b = 8.288 Å, c = 8.288 Å
α = 113.02°, β = 112.61°, γ = 102.98°
Fractional positions:
Tm (0.044, 0.243, 0.801)
Tm (0.180, 0.285, 0.464)
Tm (0.180, 0.715, 0.895)
Tm (0.334, 0.023, 0.689)
Tm (0.334, 0.645, 0.311)
Tm (0.441, 0.243, 0.199)
Tm (0.559, 0.757, 0.801)
Tm (0.666, 0.355, 0.689)
Tm (0.666, 0.977, 0.311)
Tm (0.820, 0.285, 0.105)
Tm (0.820, 0.715, 0.536)
Tm (0.956, 0.757, 0.199)
Ga (0.000, 0.000, 0.000)
Ga (0.500, 0.500, 0.000)
Ru (0.133, 0.633, 0.500)
Ru (0.320, 0.000, 0.320)
Ru (0.680, 0.000, 0.680)
Ru (0.867, 0.367, 0.500)

Largest 8 diffraction maxima, low angle first, 10° ≤ 2θ ≤ 90°:
2theta  I_rel
26.03  32
32.61  87
34.04  61
35.45  73
36.37  100
39.49  33
40.08  45
61.73  34


The following is a simulated powder diffractogram of TmGa6Ru4. It was derived from a structure optimized by DFT (GGA-PBE), using Cu Kα.

Atomic structure:
a = 6.597 Å, b = 6.597 Å, c = 6.597 Å
α = 120.96°, β = 120.96°, γ = 88.35°
Fractional positions:
Tm (0.000, 0.000, 0.000)
Ga (0.000, 0.500, 0.500)
Ga (0.109, 0.474, 0.000)
Ga (0.474, 0.109, 0.000)
Ga (0.500, 0.000, 0.500)
Ga (0.526, 0.526, 0.634)
Ga (0.891, 0.891, 0.366)
Ru (0.251, 0.251, 0.662)
Ru (0.411, 0.749, 0.000)
Ru (0.589, 0.589, 0.338)
Ru (0.749, 0.411, 0.000)

Largest 8 diffraction maxima, low angle first, 10° ≤ 2θ ≤ 90°:
2theta  I_rel
18.75  38
32.21  80
33.44  61
39.19  45
42.27  100
42.81  81
43.00  55
66.27  34


The following is a simulated powder diffractogram of Tm4Ga6Ru7. It was derived from a structure optimized by DFT (GGA-PBE), using Cu Kα.

Atomic structure:
a = 7.223 Å, b = 7.223 Å, c = 7.223 Å
α = 109.47°, β = 109.47°, γ = 109.47°
Fractional positions:
Tm (0.000, 0.000, 0.500)
Tm (0.000, 0.500, 0.000)
Tm (0.500, 0.000, 0.000)
Tm (0.500, 0.500, 0.500)
Ga (0.000, 0.309, 0.309)
Ga (0.000, 0.691, 0.691)
Ga (0.309, 0.000, 0.309)
Ga (0.309, 0.309, 0.000)
Ga (0.691, 0.000, 0.691)
Ga (0.691, 0.691, 0.000)
Ru (0.000, 0.000, 0.000)
Ru (0.250, 0.500, 0.750)
Ru (0.250, 0.750, 0.500)
Ru (0.500, 0.250, 0.750)
Ru (0.500, 0.750, 0.250)
Ru (0.750, 0.250, 0.500)
Ru (0.750, 0.500, 0.250)

Largest 8 diffraction maxima, low angle first, 10° ≤ 2θ ≤ 90°:
2theta  I_rel
30.31  28
37.35  100
40.47  16
43.40  62
51.38  11
63.05  34
75.63  28
79.64  10

~~~~~

Structure and theoretical powder X-ray diffraction pattern of Ce2ScRh (DFT lattice parameters and positions (GGA-PBE); Cu Kα, 1.54184 Å).

Largest 12 diffraction maxima, by angle, 10° ≤ 2θ ≤ 80°:
two_theta, d/Å, I/Imax
16.8, 5.283, 20
33.2, 2.701, 32
33.5, 2.672, 71
33.9, 2.642, 41
36.0, 2.493, 100
38.7, 2.326, 33
43.9, 2.060, 85
46.0, 1.975, 20
59.0, 1.565, 38
68.6, 1.368, 17
69.8, 1.347, 29
75.6, 1.258, 19

Atomic structure:
```
Ce2ScRh
1.0
1.5652 0.9037 10.5667
-1.5652 0.9037 10.5667
0.0000 -1.8074 10.5667
Ce Sc Rh
2 1 1
Cartesian
0.0000 0.0000 2.9858
0.0000 0.0000 28.7143
~~~

Len Youngman
104-year-old Len Youngman holds the Babe Ruth home run ball he fetched during a 1922 exhibition game the Yankees slugger played in Sleepy Eye, Minn.
Courtesy Boyd Huppert | KARE

Three friends with a shared obsession with the most famous sporting event ever played in their town recently received the surprise of their lives.

An 11-year-old boy who attended a 1922 Babe Ruth exhibition game in Sleepy Eye, is not only alive, but fetched a Ruth home run ball he's since given to his grandson, KARE11 reported.

"My jaw about dropped onto the keyboard on the computer when I read that," said Randy Krzmarzick, who received an email from the grandson. "I screamed to my wife, she was in the living room or something, and then immediately called these guys."

Krzmarzick, Dean Brinkman and Scott Surprenant have studied the game for years, even gathering at the local baseball field to mark anniversaries of the local classic.

Ruth made his Sleepy Eye stop with Yankees teammate Bob Meusel during a 1922 barnstorming trip that mainly took him to larger cities.

"This is the biggest thing that ever happened here," said Surprenant. The three friends are unsure how local boosters convinced Ruth to make a stop in such a small town.

According to a newspaper account at the time, about 700 people attended the game on a miserably brisk October day.

Krzmarzick, Brinkman and Surprenant believed the last attendee passed away five years ago at the age of 99.

But then the email arrived from Joel Youngman telling Krzmarzick about his 104-year-old grandfather, Len Youngman, who lives by himself in Virginia, volunteers at the local hospital and still drives a car.

Babe Ruth in 1921
Babe Ruth in 1921
Library of Congress

Len Youngmen grew up in Sleepy Eye and was 11 years old when Ruth and Meusel played the game with a group of local all-stars.

== Attached: materials data ==
'''
Simulated X-ray diffraction stick pattern
Compound: BaAc2MnO5
Radiation: Cu Kα
Structure: the GGA+U geometry in Alexandria
No peak broadening, texture or thermal motion is included.

Principal peaks in the range 10 to 80 degrees two-theta, by intensity:
(2 0 1), 29.12°, 3.067 Å, rel. 100.0
(2 1 1), 31.74°, 2.819 Å, rel. 86.7
(2 1 2), 41.48°, 2.177 Å, rel. 54.1
(0 0 1), 14.93°, 5.935 Å, rel. 42.0
(2 1 0), 27.85°, 3.204 Å, rel. 40.7
(0 0 2), 30.11°, 2.968 Å, rel. 40.6
(4 1 1), 55.07°, 1.668 Å, rel. 26.5
(3 1 0), 39.79°, 2.265 Å, rel. 23.8
(2 2 0), 35.44°, 2.533 Å, rel. 20.9
(3 3 1), 56.68°, 1.624 Å, rel. 20.1

Atomic structure:
```
BaAc2MnO5
1.0
7.164 0.000 0.000
0.000 7.164 0.000
0.000 0.000 5.935
Ba Ac Mn O
2 4 2 10
Direct
0.000 0.000 0.000
0.500 0.500 0.000
0.176 0.324 0.500
0.324 0.824 0.500
0.676 0.176 0.500
0.824 0.676 0.500
0.000 0.500 0.000
0.500 0.000 0.000
0.000 0.000 0.500
0.133 0.633 0.236
0.133 0.633 0.764
0.367 0.133 0.236
0.367 0.133 0.764
0.500 0.500 0.500
0.633 0.867 0.236
0.633 0.867 0.764
0.867 0.367 0.236
0.867 0.367 0.764
```

=====

(1)
# Cs2PuI7
Computed powder diffractogram, Cu Kα. Input: a cell relaxed with PBE.

Principal peaks in the range 10° ≤ 2θ ≤ 80°, low angle first:
- 11.7°, intensity 22.1
- 13.5°, intensity 36.8
- 19.1°, intensity 38.5
- 23.4°, intensity 43.1
- 27.1°, intensity 100.0
- 38.7°, intensity 72.7
- 47.9°, intensity 24.8
- 63.3°, intensity 29.3

Structure:
Unit cell a=9.2961 b=9.2961 c=9.2961 alpha=60.00 beta=60.00 gamma=60.00
Atoms (fractional coordinates):
Cs 0.2500 0.2500 0.2500
Cs 0.7500 0.7500 0.7500
Pu 0.0000 0.0000 0.0000
I 0.2282 0.2282 0.7718
I 0.2282 0.7718 0.2282
I 0.2282 0.7718 0.7718
I 0.5000 0.5000 0.5000
I 0.7718 0.2282 0.2282
I 0.7718 0.2282 0.7718
I 0.7718 0.7718 0.2282

(2)
# Sm7HoTl5
Computed powder diffractogram, Cu Kα. Input: a cell relaxed with PBE.

Principal peaks in the range 10° ≤ 2θ ≤ 80°, low angle first:
- 31.2°, intensity 36.0
- 31.4°, intensity 49.1
- 32.4°, intensity 42.1
- 32.5°, intensity 50.4
- 33.1°, intensity 27.4
- 35.4°, intensity 100.0
- 37.0°, intensity 32.8
- 59.7°, intensity 26.7

Structure:
Unit cell a=8.4394 b=8.4394 c=8.4394 alpha=133.15 beta=100.15 gamma=98.04
Atoms (fractional coordinates):
Sm 0.0000 0.0000 0.0000
Sm 0.2932 0.6283 0.6648
Sm 0.3311 0.3311 0.0000
Sm 0.4260 0.1128 0.3132
Sm 0.7997 0.1128 0.6868
Sm 0.8543 0.3543 0.5000
Sm 0.9635 0.6283 0.3352
Ho 0.6697 0.6697 0.0000
Tl 0.1078 0.1137 0.4835
Tl 0.1078 0.6243 0.9940
Tl 0.3832 0.8832 0.5000
Tl 0.6303 0.1137 0.0060
Tl 0.6303 0.6243 0.5165

(3)
# NaLaHg
Computed powder diffractogram, Cu Kα. Input: a cell relaxed with PBE.

Principal peaks in the range 10° ≤ 2θ ≤ 80°, low angle first:
- 18.7°, intensity 39.7
- 28.2°, intensity 52.1
- 29.7°, intensity 100.0
- 31.2°, intensity 33.1
- 32.0°, intensity 35.4
- 35.3°, intensity 43.9
- 41.4°, intensity 64.0
- 43.1°, intensity 24.0

Structure:
Unit cell a=10.0651 b=10.0651 c=10.0651 alpha=159.58 beta=147.69 gamma=38.53
Atoms (fractional coordinates):
'''

"Whenever I'd ask him about it or it just naturally came up, he would just talk and talk about it," said Joel Youngman, who received Ruth's homerun ball as a teenager. The gift from his grandpa represented one of two home runs Ruth is reported to have hit that day.

Len Youngman, who'll turn 105 in March, says he was playing with his boyhood friends beyond the outfield fence when Ruth punched one out of the park.

"And here comes this baseball flying way over the centerfielder's head, he didn't even chase it. I picked it up and ran with it," Len Youngman said with a smile.

Len Youngman says he didn't think to ask for Ruth's signature on the ball and doubts anyone would have had a pen with them anyway. Ballpoints were not common at the time.

Len Youngman did sneak himself into a photo with Ruth and Meusel. Youngman's capped head can be seen peaking around Meusel's back.

Brinkman says it's "probably the most well-known photo in Sleepy Eye history." Up until Len Youngman emerged, the three amateur historians of the game had never been able to identify the boy in the photo.

"Having something now almost 100 years later does keep this story alive. And to be honest and real, I didn't think we'd meet anybody alive anymore," says Brinkman.

Late last month, the three friends drove five hours to Sleepy Eye to meet Joel and Len Youngman and to see the ball.

"I can't imagine anyone coming this far, just for a damn baseball," Len Youngman joked upon their arrival.

After growing up in Sleepy Eye, Len Youngman moved to Virginia for work in the 1940s. Though he often shared his Babe Ruth story with family, somehow word never made it back to Sleepy Eye.

An AP Exchange story by Boyd Huppert of KARE11.